Tracing the Roots: when did gymnastics start

Tracing the Roots: when did gymnastics start: The sector of gymnastics, with its gravity-defying flips, specific balance beams, and awe-inspiring exercises, has captured the hearts and imaginations of thousands and thousands. however as we wonder on the great feats performed by means of gymnasts, it is critical to take a step again in time and … Read more

Debunking the Myth: The Truth Behind Whether Gymnastics Stunts Growth

Debunking the Myth: The Truth Behind Whether Gymnastics Stunts Growth: In the world of sports activities and physical sports, few myths persist as tenaciously as the concept that gymnastics stunts increase. for decades, concerned parents and skeptical people have wondered whether the notable feats of energy, flexibility, and agility displayed by way of gymnasts come … Read more

Winning Strategies: Using Basketball Analytics to Improve Team Performance

Winning Strategies: Using Basketball Analytics to Improve Team Performance: within the ever-evolving world of professional basketball, the hunt for victory has turn out to be an complicated dance among athleticism and statistics-driven insights. As the game continues to boost, so too do the gear available to coaches and teams looking for to gain a competitive … Read more

Understanding Xcel Gymnastics Requirements: Levels and Skills

- - -
DFT (the ωB97M-V functional and the def2-TZVPD basis) results for the molecule C6H8 at a distorted geometry.

The geometry in XYZ format:
```
14
Properties=species:S:1:pos:R:3:forces:R:3
C 0.930 1.164 -0.173 -0.195 1.331 1.939
C 1.481 -0.141 0.375 -3.903 -3.066 -0.658
C 0.599 -1.213 0.042 3.030 2.905 -0.918
C -0.633 -0.816 -0.748 0.795 0.752 3.437
C -1.441 -0.123 0.399 1.789 -1.198 2.380
C -0.615 0.780 -0.428 0.665 -1.017 -2.250
H 1.083 2.007 0.636 -0.728 -1.488 -1.391
H 1.623 1.528 -1.005 -1.669 -0.522 0.442
H 2.105 -0.272 1.249 0.686 0.256 -0.469
H 0.932 -2.224 0.180 -0.366 -0.452 0.415
H -1.057 -1.572 -1.427 -0.063 1.199 -0.054
H -2.496 -0.105 0.439 -1.127 0.552 -0.949
H -1.144 -0.309 1.467 0.168 -0.166 -1.203
H -1.368 1.296 -1.004 0.918 0.915 -0.720
```
Positions in Å, forces in eV/Å.

Values from the calculation:
HOMO   -8.3125 eV
LUMO   1.24 eV
Structure (SMILES)   C1=C[C@H]2C[C@H]2C1
Gap between HOMO and LUMO   9.55 eV
E_tot   -233.29778 Eh


No. 1
114
Properties=species:S:1:pos:R:3 method="wB97M-V/def2-TZVPD" s2=2.01 max_force_ha_per_bohr=0.008 total_charge=+4 e_tot_ha=-3797.357686 relative_energy_kj_mol=13.9 multiplicity=3
W -1.3750 1.0397 0.5529
C -0.3984 5.2170 1.9835
C -1.0876 6.0338 1.1009
C -1.8050 5.4461 0.0715
C -1.8349 4.0647 -0.0304
N -1.2082 3.2655 0.8582
C -0.4871 3.8490 1.8233
C -2.4705 3.3466 -1.1488
C -3.1866 3.9547 -2.1670
C -3.7053 3.1802 -3.1927
C -3.4837 1.8092 -3.1882
C -2.7712 1.2587 -2.1453
N -2.2832 2.0086 -1.1371
H 0.1991 5.6292 2.7841
H -1.0540 7.1105 1.2004
H -2.3229 6.0647 -0.6462
H 0.0599 3.1955 2.4901
H -3.3495 5.0220 -2.1619
H -4.2755 3.6438 -3.9871
H -3.8607 1.1731 -3.9762
H -2.5706 0.1939 -2.0921
N 0.5084 1.1022 -0.0693
S 1.9353 1.1153 -0.4574
N 2.3628 0.0443 -1.5740
S 1.4713 -1.1901 -1.9024
N 0.9286 -2.1134 -0.7933
S -0.3009 -2.0819 0.2389
N -1.2501 -0.9436 0.3930
C 0.4982 -2.4694 1.7738
C -0.3491 -2.7127 2.8515
C 0.2063 -3.0194 4.0811
C 1.5901 -3.0782 4.2257
C 2.4187 -2.8393 3.1401
C 1.8765 -2.5374 1.8962
C -1.1825 -3.5487 -0.1968
C -0.4903 -4.7534 -0.2740
C -1.1922 -5.8957 -0.6187
C -2.5575 -5.8227 -0.8812
C -3.2316 -4.6120 -0.7919
C -2.5448 -3.4585 -0.4386
C 0.1537 -0.6788 -2.9664
C -0.8838 -1.5737 -3.2053
C -1.7996 -1.2752 -4.2025
C -1.6616 -0.1084 -4.9481
C -0.6242 0.7796 -4.6880
C 0.3026 0.4953 -3.6953
C 2.5249 -2.2148 -2.8613
C 3.5974 -1.6397 -3.5347
C 4.3654 -2.4549 -4.3501
C 4.0518 -3.8014 -4.4887
C 2.9679 -4.3510 -3.8135
C 2.1857 -3.5575 -2.9919
C 3.0374 0.7922 0.8884
C 4.2637 0.1771 0.6618
C 5.1274 0.0023 1.7342
C 4.7641 0.4342 3.0033
C 3.5269 1.0325 3.2162
C 2.6570 1.2151 2.1551
C 2.4685 2.6389 -1.1687
C 3.8201 2.9094 -1.3500
C 4.1792 4.1081 -1.9442
C 3.2002 5.0098 -2.3464
C 1.8542 4.7228 -2.1561
C 1.4768 3.5295 -1.5600
H -1.4239 -2.7043 2.7103
H -0.4328 -3.2530 4.9232
H 2.0194 -3.3402 5.1838
H 3.4916 -2.9132 3.2507
H 2.5157 -2.3824 1.0403
H 0.5699 -4.8020 -0.0562
H -0.6791 -6.8459 -0.6763
H -3.0984 -6.7203 -1.1494
H -4.2937 -4.5694 -0.9920
H -3.0450 -2.5025 -0.3529
H -0.9634 -2.5012 -2.6512
- - -

Understanding Xcel Gymnastics Requirements: Levels and Skills: Gymnastics is a captivating and demanding recreation that mixes artistry, strength, flexibility, and precision. within the realm of gymnastics, there is a lesser-recognised however notably respected application called Xcel Gymnastics. This software gives a unique pathway for gymnasts of every age and skill degrees to pursue their ardour … Read more

Exploring Xcel Gymnastics: A Beginner’s Guide

Exploring Xcel Gymnastics: A Beginner’s Guide: Gymnastics is a game that captivates both young and old with its grace, strength, and agility. at the same time as the sector of gymnastics may be intimidating, Xcel Gymnastics gives an reachable entry point for novices keen to embark in this thrilling journey. This novice’s guide objectives to … Read more

Common Gymnastics Injuries and How to Avoid Them

Common Gymnastics Injuries and How to Avoid Them: Gymnastics, with its grace, power, and agility, is a recreation that needs immense willpower and area. however, like any physically annoying interest, gymnastics comes with its honest proportion of dangers, in particular in relation to injuries. In this article, we are able to delve into the sector … Read more

Balancing Act: The Physical and Mental Benefits of Gymnastics Ring Exercises

Balancing Act: The Physical and Mental Benefits of Gymnastics Ring Exercises: In the realm of fitness and athleticism, certain exercise modalities stand out not only for their physical prowess but also for their profound impact on mental well-being. Among these, the art of gymnastics ring exercises has emerged as a captivating and multifaceted practice that … Read more

Flexibility, Strength, and Confidence: The Multifaceted Benefits of Gymnastics Training

  Flexibility, Strength, and Confidence: The Multifaceted Benefits of Gymnastics Training: In the realm of physical schooling, few disciplines encapsulate the essence of holistic improvement as correctly as gymnastics. past its captivating presentations of grace and agility, gymnastics education offers a wealthy tapestry of blessings that increase a ways beyond the confines of the mat … Read more